10 Myths About Non-profit Careers in the MENA

10 Myths About Non-profit Careers in the MENA

Like most myths, the ones about the non-profit sector are based more on prejudice than fact. The non-profit sector of today hardly resembles the non-profit sector of five, 10, or 15 years ago. In fact, it barely resembles the non-profit sector of last year. With each passing day, the sector becomes more and more competitive, and this only serves to benefit non-profit professionals and job seekers. Here, the career experts at Bayt.com debunk 10 myths about non-profit careers in the Middle East and North Africa (MENA): Myth #1: Non-profits are laid back, less professional, and less rigorous. Truth: There are certainly non-profits that fit this stereotype, but there are for-profit businesses that do too. Many non-profits are fast-paced, demanding, and disciplined; in fact, there’s a growing movement in that direction. Business people are often surprised to learn how difficult it is to make the transition into the non-profit sector which has different, often rigorous, standards of success. In fact, 92% of professionals in the MENA feel that people working for a non-profit organization are more ‘mission-driven’ than professionals in other sectors (as per the Bayt.com ‘Working for Non-profit Organizations in the MENA’ poll, May 2014). Myth #2: Non-profits are for people who could not make it in the business world. Truth: Non-profit organizations are full of intelligent people with a passion for their work, many with graduate degrees and years of experience in the sector. While many professionals switch between the non-profit, government, and private sectors during their careers, each line of work presents its own set of challenges. Switching from for-profit industry to the non-profit sector is becoming a growing trend and a career aspiration for many in the MENA region. According to the Bayt.com ‘Working for Non-profit Organizations in the MENA’ poll, 48% of MENA professionals would love to work for a non-profit organization Myth #3: Working for a non-profit is not really a career path. Truth: Working in the non-profit sector can be sometimes seen as taking a break from the “real world”, with the implied assumption that it is not an option to spend a lifetime doing this work. In reality, the non-profit sector provides many people with a lifetime of exciting work. Non-profits also tend to offer young people more leadership opportunities than other sectors. Many non-profits offer solid career paths and opportunities for advancement. According to the Bayt.com ‘Working for Non-profit Organizations in the MENA’ poll, 53% of professionals in the MENA feel that career-oriented people can have satisfying careers working for non-profit organizations. Myth #4: The non-profit sector is not competitive. Truth: In a world of limited resources, non-profit organizations compete intensely for the public’s attention, recognition, funding, and other resources. This competitiveness usually transcends the entire organization and employees become catalysts of change in a highly competitive working environment. Myth #5: Non-profit work is not challenging. Truth: Ask anyone in a non-profit if their work is easy, and they will likely laugh – and for good reason. Not only is their work difficult, many would argue that it could be much more challenging than working in the for-profit sector. Employees in non-profits are often asked to do more with less, and in shorter periods of time, while keeping more people happy than are their for-profit counterparts. The results of this hard work are often intangible. According to the Bayt.com ‘Working for Non-profit Organizations in the MENA’ poll, 78% of MENA professionals consider salaries in the non-profit to be less attractive than in other sectors, while 79% feel that non-profits offer less perks and benefits than other companies. Myth #6: Non-profits are inefficient. Truth: Non-profit organizations do not have clear bottom lines or profit margins. Serving a human or environmental need makes success and efficiency much more difficult to measure. Add to that the reality of limited resources and an emphasis on serving clients, and it becomes clear why the sector is often perceived as inefficient. There are certainly some inefficient and disorganized non-profit organizations, just as we see plenty of dysfunctional organizations in the private sector. In both cases, this is not necessarily a reflection on the sector as a whole. Myth #7: Nonprofit jobs are secure. Truth: One of the biggest myths related to nonprofit careers is that they’re “safe” careers. Those non-profits also have some great backers. A non-profit job is like any other. If a funder pulls their funding out, that non-profit organization is done. Just like every business, it all depends on where the money is coming from. According to the Bayt.com ‘Working for Non-profit Organizations in the MENA’ poll, 75% of MENA professionals believe that job security is lower in the non-profit sector. Moreover, 74% say that there are few to no opportunities to find employment with a non-profit organization in their country of residence. Myth #8: Non-profits are all the same. Truth: Non-profit organizations are as different from one another as for-profit companies are. Beyond the obvious differences of mission and focus, key differences to note in non-profits include size, age, outlook, business model, and bylaws. From structure, to fundraising model, to mission, to people served, non-profits are widely diverse. Indeed, non-profits cover a wide range of issues, including issues within these areas:

  1. Arts, Culture, and Humanities
  2. Education
  3. Environment and Animals
  4. Health
  5. Human Services
  6. International and Foreign Affairs
  7. Public and Societal Benefit
  8. Religious

Myth #9: Non-profit employees have better work-life balance. Truth: There are some non-profits that promote work-life balance for their employees, just like there are some for-profits that do. But there are also non-profits where long hours are the norm – particularly since what’s at stake can be so important. According to the Bayt.com ‘Working for Non-profit Organizations in the MENA’ poll, 52.3% of respondents believe that working for a non-profit organization means sacrificing more of your health and family time. Myth #10: Working for a non-profit is just like volunteering. Truth: Many non-profits rely on volunteers, especially in direct services. Volunteers, however, are often shielded from the organizational, financial, and other challenges with which the actual employees of an organization must contend. Some organizations also employ volunteers in addition to their paid staff, but many don’t use volunteer help at all, preferring instead the accountability of paid full-timers. This is why most non-profits are staffed by paid professional staff.

<<<
Run i
A relaxed structure of ZnBiPO. Source: OQMD via LeMat-Bulk, functional PBE-GGA.

```
data_ZnBiPO
_space_group_name_H-M_alt 'P 4/n m m'
_space_group_IT_number 129
_cell_length_a 4.436
_cell_length_b 4.436
_cell_length_c 8.757
_cell_angle_alpha 90.00
_cell_angle_beta 90.00
_cell_angle_gamma 90.00
loop_
_space_group_symop_operation_xyz
'x,y,z'
'-x,-y,-z'
'-y+1/2,x,z'
'y+1/2,-x,-z'
'-x+1/2,-y+1/2,z'
'x+1/2,y+1/2,-z'
'y,-x+1/2,z'
'-y,x+1/2,-z'
'x+1/2,-y,-z'
'-x+1/2,y,z'
'-y,-x,-z'
'y,x,z'
'-x,y+1/2,-z'
'x,-y+1/2,z'
'y+1/2,x+1/2,-z'
'-y+1/2,-x+1/2,z'
loop_
_atom_site_label
_atom_site_fract_x
_atom_site_fract_y
_atom_site_fract_z
Zn1 0.250 0.250 0.012
Bi1 0.250 0.750 0.500
P1 0.250 0.250 0.300
O1 0.250 0.750 0.000
```

***

Run ii
A relaxed structure of ZnBiPO. Source: OQMD via LeMat-Bulk, functional PBE-GGA.

```
data_ZnBiPO
_space_group_name_H-M_alt 'P 4/n m m'
_space_group_IT_number 129
_cell_length_a 3.952
_cell_length_b 3.952
_cell_length_c 8.863
_cell_angle_alpha 90.00
_cell_angle_beta 90.00
_cell_angle_gamma 90.00
loop_
_space_group_symop_operation_xyz
'x,y,z'
'-x,-y,-z'
'-y+1/2,x,z'
'y+1/2,-x,-z'
'-x+1/2,-y+1/2,z'
'x+1/2,y+1/2,-z'
'y,-x+1/2,z'
'-y,x+1/2,-z'
'x+1/2,-y,-z'
'-x+1/2,y,z'
'-y,-x,-z'
'y,x,z'
'-x,y+1/2,-z'
'x,-y+1/2,z'
'y+1/2,x+1/2,-z'
'-y+1/2,-x+1/2,z'
loop_
_atom_site_label
_atom_site_fract_x
_atom_site_fract_y
_atom_site_fract_z
Zn1 0.250 0.750 0.000
Bi1 0.250 0.250 0.358
P1 0.250 0.250 0.832
O1 0.250 0.750 0.500
```

***

Run iii
A relaxed structure of ZnBiPO. Source: OQMD via LeMat-Bulk, functional PBE-GGA.

```
data_ZnBiPO
_space_group_name_H-M_alt 'R -3 m'
_space_group_IT_number 166
_space_group_name_Hall '-R 3 2"'
_cell_length_a 3.7017
_cell_length_b 3.7017
_cell_length_c 36.9882
_cell_angle_alpha 90.00
_cell_angle_beta 90.00
_cell_angle_gamma 120.00
loop_
_atom_site_label
_atom_site_fract_x
_atom_site_fract_y
_atom_site_fract_z
Zn1 0.0000 0.0000 0.1388
Bi1 0.0000 0.0000 0.2933
P1 0.0000 0.0000 0.4149
O1 0.0000 0.0000 0.1941
```

***

Run iv
A relaxed structure of ZnBiPO. Source: OQMD via LeMat-Bulk, functional PBE-GGA.

```
data_ZnBiPO
_space_group_name_H-M_alt 'P 4/n m m'
_space_group_IT_number 129
_cell_length_a 3.845
_cell_length_b 3.845
_cell_length_c 10.734
_cell_angle_alpha 90.00
_cell_angle_beta 90.00
_cell_angle_gamma 90.00
loop_
_space_group_symop_operation_xyz
'x,y,z'
'-x,-y,-z'
'-y+1/2,x,z'
'y+1/2,-x,-z'
'-x+1/2,-y+1/2,z'
'x+1/2,y+1/2,-z'
'y,-x+1/2,z'
'-y,x+1/2,-z'
'x+1/2,-y,-z'
'-x+1/2,y,z'
'-y,-x,-z'
'y,x,z'
'-x,y+1/2,-z'
'x,-y+1/2,z'
'y+1/2,x+1/2,-z'
'-y+1/2,-x+1/2,z'
loop_
_atom_site_label
_atom_site_fract_x
_atom_site_fract_y
_atom_site_fract_z
Zn1 0.250 0.250 0.108
Bi1 0.250 0.250 0.622
P1 0.250 0.250 0.884
O1 0.250 0.750 0.500
```

***

Most stable structure, least stable structure: run ii, run i.

***

Run i
A relaxed structure of ZnBiPO. Source: OQMD via LeMat-Bulk, functional PBE-GGA.

```
data_ZnBiPO
_space_group_name_H-M_alt 'P b a m'
_space_group_IT_number 55
_space_group_name_Hall '-P 2 2ab'
>>>

Roba Al-Assi
  • قام بإعلانها Roba Al-Assi - ‏06/06/2016
  • آخر تحديث: 06/06/2016
  • قام بإعلانها Roba Al-Assi - ‏06/06/2016
  • آخر تحديث: 06/06/2016